# Assignment
Count the lines further down that contain the word "the" and give the number alone, please.

# Listing
=====
(1)
Crystalline Na2InCuCl6 at its relaxed geometry. Source: Materials Project, functional PBE-GGA.

* V: 25.42 Å³ per atom
* calculated total energy: -31.7 eV per formula unit

Lattice parameters (Å, degrees): 10.055 10.055 10.055 90.00 90.00 90.00
Space group Fm-3m (No. 225)
Unique sites:
Na: 0.250 0.250 0.250 (multiplicity 8)
In: 0.000 0.000 0.000 (multiplicity 4)
Cu: 0.000 0.000 0.500 (multiplicity 4)
Cl: 0.000 0.000 0.254 (multiplicity 24)

***

(2)
Crystalline MgH12SO10 at its relaxed geometry. Source: Materials Project, functional PBE-GGA.

* energy above the lowest structure with this stoichiometry: 0.00 kJ/mol of atoms
* V: 9.49 Å³ per atom
* calculated total energy: -126.5 eV per formula unit

Lattice parameters (Å, degrees): 10.314 7.154 25.170 90.00 101.06 90.00
Space group C2/c (No. 15)
Unique sites:
Mg: 0.000 0.000 0.000 (multiplicity 4)
Mg: 0.000 0.058 0.250 (multiplicity 4)
H: 0.011 0.295 0.433 (multiplicity 8)
H: 0.032 0.319 0.558 (multiplicity 8)
H: 0.064 0.259 0.699 (multiplicity 8)
H: 0.069 0.371 0.199 (multiplicity 8)
H: 0.129 0.200 0.089 (multiplicity 8)
H: 0.156 0.186 0.581 (multiplicity 8)
H: 0.161 0.050 0.845 (multiplicity 8)
H: 0.162 0.098 0.692 (multiplicity 8)
H: 0.166 0.173 0.341 (multiplicity 8)
H: 0.198 0.132 0.949 (multiplicity 8)
H: 0.204 0.284 0.232 (multiplicity 8)
H: 0.230 0.465 0.996 (multiplicity 8)
S: 0.131 0.448 0.877 (multiplicity 8)
O: 0.014 0.440 0.832 (multiplicity 8)
O: 0.039 0.177 0.067 (multiplicity 8)
O: 0.087 0.491 0.929 (multiplicity 8)
O: 0.089 0.220 0.548 (multiplicity 8)
O: 0.110 0.258 0.218 (multiplicity 8)
O: 0.114 0.150 0.718 (multiplicity 8)
O: 0.144 0.058 0.320 (multiplicity 8)
O: 0.184 0.053 0.980 (multiplicity 8)
O: 0.201 0.264 0.883 (multiplicity 8)
O: 0.222 0.401 0.365 (multiplicity 8)

=====

[1]
The following is a DFT calculation (PBE with a Hubbard U) of an optimized crystal structure of MgTi2Mn2O6.

abc: 3.050 5.565 7.880
angles: 106.75 100.34 90.31
Space group P-1 (No. 2)
Symmetry-distinct sites (fractional):
Mg 0.000 0.000 0.000 x1
Ti 0.341 0.987 0.652 x2
Mn 0.139 0.494 0.288 x2
O 0.096 0.820 0.201 x2
O 0.236 0.251 0.501 x2
O 0.419 0.775 0.831 x2

Output
energy above the lowest structure with this stoichiometry = 0 meV per atom
energy relative to the elements = -2.702 eV/atom
calculated density = 4.30 g/cm³

[2]
The following is a DFT calculation (PBE with a Hubbard U) of an optimized crystal structure of K2WO8.

abc: 11.8813 11.8813 26.4365
angles: 90.00 90.00 120.00
Space group R-3c (No. 167, hexagonal axes)
Symmetry-distinct sites (fractional):
K 0.0000 0.0000 0.0000 x6
K 0.0000 0.0000 0.1674 x12
K 0.0000 0.3565 0.2500 x18
W 0.0000 0.3174 0.7500 x18
O 0.0198 0.1856 0.4036 x36
O 0.0268 0.2491 0.8153 x36
O 0.0533 0.2293 0.0485 x36
O 0.0879 0.5165 0.3778 x36

Output
energy relative to the elements = -1.314 eV/atom
calculated density = 3.61 g/cm³

[3]
The following is a DFT calculation (PBE with a Hubbard U) of an optimized crystal structure of Li5FeO4.

abc: 9.258 9.310 9.301
angles: 90.00 90.00 90.00
Space group Pbca (No. 61)
Symmetry-distinct sites (fractional):
Li 0.104 0.156 0.118 x8
Li 0.107 0.647 0.873 x8
Li 0.125 0.120 0.854 x8
Li 0.142 0.607 0.611 x8
Li 0.162 0.119 0.390 x8
Fe 0.118 0.616 0.146 x8
O 0.001 0.743 0.032 x8
O 0.017 0.004 0.249 x8
O 0.241 0.746 0.248 x8
O 0.246 0.534 0.006 x8

Output
energy above the lowest structure with this stoichiometry = 0 meV per atom
energy relative to the elements = -2.042 eV/atom
calculated density = 2.56 g/cm³

[4]
The following is a DFT calculation (PBE with a Hubbard U) of an optimized crystal structure of CaW2O4.

abc: 6.6437 6.6437 16.4994
angles: 90.00 90.00 120.00
Space group R3m (No. 160, hexagonal axes)
Symmetry-distinct sites (fractional):
Ca 0.0000 0.0000 0.0000 x3
Ca 0.0000 0.0000 0.3704 x3
W 0.0000 0.0000 0.5753 x3
W 0.1670 0.3339 0.8286 x9
O 0.0000 0.0000 0.2298 x3
O 0.0000 0.0000 0.7694 x3
O 0.0267 0.5134 0.7603 x9
O 0.1752 0.3505 0.5726 x9

Output
=====

# Completed
6